Node.js SDK
FastPix Node.js SDK, written in TypeScript, provides an easy way to integrate with the FastPix platform. It enables communication with the FastPix APIs, allowing you to manage media uploads, live streaming, and simulcasting to multiple platforms.
Key features:
The FastPix Node.js SDK provides the following features:
1. Media APIs:
The Media API allows you to upload and manage media assets on the FastPix platform.
- Upload media: Easily upload media files from URLs or devices to the FastPix platform.
- Manage media: Perform various media operations such as listing, fetching, updating, and deleting media assets.
- Playback IDs: Create and manage playback IDs to access your media.
2. Live streaming APIs:
- Create & manage live streams: Stream live events by creating, listing, updating, and deleting live streams.
- Control stream access: Generate playback IDs to control who can access your live streams.
- Simulcast: Stream content to multiple platforms simultaneously with ease.
For more detailed information, refer to the FastPix API Reference.
Before you start using the FastPix Node.js SDK, make sure you have the following:
- To authenticate with the FastPix APIs, you'll need an Access Token and a Secret Key. You can generate these credentials by following the steps in the Authentication with Access Tokens guide.
- Node.js (version >= 18): This SDK is compatible with Node.js version 18 or higher on the server side.
Step 1: Installation
To install the SDK, simply use NPM or your preferred package manager. Run the following command:
npm install @fastpix/fastpix-node
Step 2: Import the SDK
You can import the SDK using either ES Modules (import) or CommonJS (require), depending on your project configuration.
Using import (ES Modules):
If your project supports ES Modules, you can import the SDK like this:
import Client from "@fastpix/fastpix-node";
Using require (CommonJS):
If you're working with CommonJS modules, use require:
const Client = require("@fastpix/fastpix-node").default;
Step 3: Initialization
Initialize FastPix Node.js SDK with AccessToken and SecretKey.
import Client from "@fastpix/fastpix-node";
const fastpix = new Client({
accessTokenId: "your-access-token-id",
secretKey: "your-secret-key",
Example usage:
// Using import (ES Modules)
import Client from "@fastpix/fastpix-node";
// or using require (CommonJS)
// const FastPix = require("@fastpix/fastpix-node").default;
// Initialize the FastPix SDK with your Access Token ID and Secret Key
const fastpix = new Client({
accessTokenId: "your-access-token-id", // Replace with your Access Token ID
secretKey: "your-secret-key", // Replace with your Secret Key
async function main() {
// Create a request payload for uploading media from a URL
const uploadUrlRequest = {
inputs: [
type: "video",
url: "",
metadata: {
video_title: "Big_Buck_Bunny",
accessPolicy: "public",
const response = await fastpix.uploadMediaFromUrl(uploadUrlRequest);
console.log("Media Id:",;
1. Media operations (Video on demand)
1.1. Media uploads to FastPix
Upload media from URL:
Use the uploadMediaFromUrl
method to upload media directly from a URL. For detailed configuration operation, refer to the Create media from URL API documentation.
// Define the request payload for uploading media from a URL.
const mediaFromUrlRequest = {
inputs: [
type: "video", // Specifies the type of media being uploaded (e.g., "video").
url: "", // URL of the media file to be uploaded.
metadata: {
video_title: "Big_Buck_Bunny", // Metadata to associate with the media, such as its title.
accessPolicy: "public", // Access policy for the media ("public" or "private").
const mediaFromUrlResponse =
await fastpix.uploadMediaFromUrl(mediaFromUrlRequest);
console.log("Upload Response:", mediaFromUrlResponse);
Upload media directly from local device:
Use the uploadMediaFromDevice
method to fetch the signedUrl
and to make use of it to upload media directly from a local device via PUT
HTTP Method. For detailed configuration options, refer to the Upload media from device API documentation.
// Define the request payload for uploading media from a device.
const mediaFromDeviceRequest = {
corsOrigin: "*", // Specifies the allowed origin for CORS (Cross-Origin Resource Sharing). "*" allows all origins.
pushMediaSettings: {
accessPolicy: "private", // Sets the access policy for the uploaded media (e.g., "private" or "public").
optimizeAudio: true, // Enables audio optimization for the uploaded media.
maxResolution: "1080p", // Specifies the maximum resolution allowed for the uploaded media.
const mediaFromDeviceResponse = await fastpix.uploadMediaFromDevice(
console.log("Upload Response:", mediaFromDeviceResponse);
1.2. Media management
Get list of all media:
Use getAllMediaAssets
to fetch a list of all media assets. You can customize the query by modifying parameters such as limit
, offset
and orderBy
. For more details on listing media assets, refer to the Get list of all media API documentation.
// Define the parameters for fetching media assets in a separate variable.
const mediaQueryParams = {
limit: 20, // Number of assets to fetch in one request (between 1 and 50)
offset: 5, // Pagination starting position
orderBy: "asc", // Sorting order of the assets ("asc" for ascending)
const mediaAssets = await fastpix.getAllMediaAssets(mediaQueryParams);
Entry 1:
Simulated X-ray powder pattern of MgSi2Ni3 for a wavelength of 1.5418 Å, from a crystal structure in Alexandria, relaxed with PBE.
Peak positions follow from Bragg's law for the DFT cell and can differ from measured ones.

Peak list (12 most intense, 2θ = 10–90°, by angle)
| 2θ/deg | I (rel.) |
| --- | --- |
| 15.85 | 34 |
| 27.28 | 28 |
| 35.64 | 7 |
| 41.74 | 100 |
| 45.99 | 95 |
| 48.65 | 15 |
| 48.94 | 10 |
| 56.22 | 8 |
| 63.84 | 26 |
| 82.20 | 24 |
| 85.04 | 16 |
| 85.16 | 14 |

Crystal structure
Cell lengths 3.947, 3.947, 11.182 Å; angles 90.00, 90.00, 120.00 degrees
Positions (direct):
1 Mg 0.000 0.000 0.250
2 Mg 0.000 0.000 0.750
3 Si 0.333 0.667 0.090
4 Si 0.333 0.667 0.410
5 Si 0.667 0.333 0.590
6 Si 0.667 0.333 0.910
7 Ni 0.000 0.000 0.000
8 Ni 0.000 0.000 0.500
9 Ni 0.333 0.667 0.621
10 Ni 0.333 0.667 0.879
11 Ni 0.667 0.333 0.121
12 Ni 0.667 0.333 0.379

Entry 2:
Simulated X-ray powder pattern of Mg2Si3Ni5 for a wavelength of 1.5418 Å, from a crystal structure in Alexandria, relaxed with PBE.
Peak positions follow from Bragg's law for the DFT cell and can differ from measured ones.

Peak list (12 most intense, 2θ = 10–90°, by angle)
| 2θ/deg | I (rel.) |
| --- | --- |
| 21.83 | 21 |
| 24.60 | 17 |
| 30.13 | 25 |
| 39.57 | 32 |
| 40.18 | 77 |
| 43.07 | 100 |
| 44.38 | 24 |
| 44.94 | 32 |
| 47.48 | 57 |
| 52.11 | 27 |
| 52.75 | 16 |
| 67.44 | 17 |

Crystal structure
Cell lengths 11.023, 11.023, 6.158 Å; angles 90.00, 90.00, 159.99 degrees
Positions (direct):
1 Mg 0.021 0.979 0.500
2 Mg 0.321 0.679 0.386
3 Mg 0.679 0.321 0.886
4 Mg 0.979 0.021 0.000
5 Si 0.120 0.880 0.257
6 Si 0.280 0.720 0.846
7 Si 0.455 0.545 0.290
8 Si 0.545 0.455 0.790
9 Si 0.720 0.280 0.346
10 Si 0.880 0.120 0.757
11 Ni 0.098 0.902 0.877
12 Ni 0.202 0.798 0.562
13 Ni 0.219 0.781 0.144
14 Ni 0.381 0.619 0.009
15 Ni 0.441 0.559 0.658
16 Ni 0.559 0.441 0.158
17 Ni 0.619 0.381 0.509
18 Ni 0.781 0.219 0.644
19 Ni 0.798 0.202 0.062
20 Ni 0.902 0.098 0.377
console.log("Fetched Media Assets:", mediaAssets);
Get media asset by ID:
Use the getMediaAssetById
method to retrieve a media asset by its ID. Simply provide the mediaId
of the media asset to fetch its details. For more information, refer to the Get a media by ID API documentation.
// Define the parameter for fetching a specific media asset by ID.
const mediaAssetRequestParams = {
mediaId: "mediaId", // Unique identifier for the media asset to be retrieved.
const getMediaAsset = await fastpix.getMediaAssetById(mediaAssetRequestParams);
console.log("Retrieved media asset by ID:", getMediaAsset);
Update media asset:
Use the updateMediaAsset
method to modify the metadata or other properties of a specific media asset. Provide the mediaId
of the asset and the updated metadata. For more information, refer to the Update a media by ID API documentation.
// Define the parameter for specifying the media asset to be updated.
const mediaAssetToUpdate = {
mediaId: "media-id", // Unique identifier for the media asset to update.
// Define the payload with the updates to be applied to the media asset.
const updatePayload = {
metadata: {
key: "value", // Replace "key" and "value" with actual metadata entries.
category: "nature", // Example of another metadata entry.
const updateMediaAsset = await fastpix.updateMediaAsset(
console.log("Updated Media Asset:", updateMediaAsset);
Delete media asset:
Use the deleteMediaAsset
method to remove a media asset by its ID. Simply provide the mediaId
of the asset you wish to delete. For further details, refer to the Delete a media by ID API documentation.
// Define the parameter for specifying the media asset to be deleted.
const mediaAssetToDelete = {
mediaId: "media-id", // Unique identifier for the media asset to delete.
const deleteMediaAsset = await fastpix.deleteMediaAsset(mediaAssetToDelete);
console.log("Deleted Media Asset:", deleteMediaAsset);
1.3. Manage media playback
Generate media playback ID:
Use the generateMediaPlaybackId
method to create a playback ID for a specific media asset. Provide the mediaId
and configure options like the accessPolicy
. For detailed configuration options, refer to the Create a playback ID API documentation.
// Define the mediaId and accessPolicy dynamically
const mediaPlaybackRequest = {
mediaId: "media-id", // Unique identifier for the media asset.
const playbackOptions = {
accessPolicy: "public", // Can be 'public' or 'private'.
const playbackIdResponse = await fastpix.generateMediaPlaybackId(
mediaPlaybackRequest, // Pass the mediaId
playbackOptions, // Pass the accessPolicy
console.log("Playback ID Creation Response:", playbackIdResponse);
Delete media playback ID:
Use the deleteMediaPlaybackId
method to remove a playback ID for a specific media asset. You must provide both the mediaId
and the playbackId
to delete it. For detailed configuration options, refer to the Delete a playback ID API documentation.
2. Live stream operations
2.1 Start live stream
Use the initiateLiveStream
method to start a live stream with your desired configurations. For detailed configuration options, refer to the Create a new stream API documentation.
const liveStreamRequest = {
playbackSettings: {
accessPolicy: "public", // Defines the access level of the live stream (public or private)
inputMediaSettings: {
maxResolution: "1080p", // Set the maximum resolution of the live stream
reconnectWindow: 1800, // Set the duration for reconnecting the stream in seconds
mediaPolicy: "private", // Define media policy (private or public)
metadata: {
liveStream: "fp_livestream", // Custom metadata for the live stream
enableDvrMode: true, // Enable DVR mode to allow viewers to rewind the live stream
// Initiating the live stream
const generateLiveStream = await fastpix.initiateLiveStream(liveStreamRequest);
console.log("Live Stream initiated successfully:", generateLiveStream);
2.2 Live stream management
Get list of all live streams:
Use the getAllLiveStreams
method to retrieve a list of all live streams. Customize the query by adjusting parameters such as limit
, offset
, and orderBy
. For detailed configuration options, refer to the Get all live streams API documentation.
const getAllLiveStreamPagination = {
limit: 10, // Limit the number of live streams retrieved.
offset: 1, // Skip a specified number of streams for pagination.
orderBy: "asc", // Order the results based on the specified criteria ("asc" or "desc").
const getAllLiveStreams = await fastpix.getAllLiveStreams(
console.log("All Live Streams:", getAllLiveStreams);
Get live stream by Id:
Use the getLiveStreamById
method to fetch a specific live stream by its ID. Provide the streamId
of the stream you want to retrieve. For more details, refer to the Get stream by ID API documentation.
const getLiveStreamById = await fastpix.getLiveStreamById({
streamId: "a09f3e958c16ed00e85bfe798abd9845", // Replace with actual stream ID
console.log("Live Stream Details:", getLiveStreamById);
Update live stream:
Use the updateLiveStream
method to modify the configuration of a live stream. Provide the streamId
and specify the fields you wish to update. For more details, refer to the Update Live Stream API documentation.
const updateLiveStreamRequest = {
metadata: {
livestream_name: "Game_streaming",
reconnectWindow: 100,
const updateLiveStream = await fastpix.updateLiveStream(
{ streamId: "a09f3e958c16ed00e85bfe798abd9845" }, // Provide the stream ID for the live stream to update
console.log("Updated Live Stream:", updateLiveStream);
Delete live stream:
Use the deleteLiveStream
method to remove a live stream. Provide the streamId
of the stream you want to delete. For more details, refer to the Delete Live Stream API documentation.
const deleteLiveStream = await fastpix.deleteLiveStream({
streamId: "a09f3e958c16ed00e85bfe798abd9845", // Provide the stream ID of the live stream to delete
console.log("Deleted Live Stream:", deleteLiveStream);
2.3. Manage live stream playback
Generate live stream playback ID:
Use the generateLiveStreamPlaybackId
method to create a playback ID for a live stream. Replace streamId
with the actual ID of the stream and specify the desired accessPolicy
. For more details, refer to the Create a playback ID API documentation.
const generateLiveStreamPlaybackId = await fastpix.generateLiveStreamPlaybackId(
{ streamId: "a09f3e958c16ed00e85bfe798abd9845" }, // Pass the stream ID for which the playback ID is to be generated
{ accessPolicy: "public" }, // This can be "public" or "private" based on your needs
console.log("Generated Live Stream Playback ID:", generateLiveStreamPlaybackId);
Delete live stream playback ID:
Use the deleteLiveStreamPlaybackId
method to remove a specific playback ID for a live stream. Provide both the streamId
of the stream and the playbackId
you wish to delete. For more details, refer to the Delete a playback ID API documentation.
const deleteLiveStreamPlaybackId = await fastpix.deleteLiveStreamPlaybackId({
streamId: "a09f3e958c16ed00e85bfe798abd9845", // Replace with actual stream ID
playbackId: "632029b4-7c53-4dcf-a4d3-1884c29e90f8", // Replace with actual playback ID
console.log("Deleted Live Stream Playback ID:", deleteLiveStreamPlaybackId);
Get live stream playback policy:
Use the getLiveStreamPlaybackPolicy
method to retrieve the playback policy for a specific live stream playback ID. Provide the streamId
and playbackId
to fetch the policy details. For more information, refer to the Get stream's playback ID API documentation.
2.4. Simulcast live stream
Initiate live stream simulcast:
Use the initiateLiveStreamSimulcast
method to create a new simulcast for a live stream. Provide the streamId
along with the simulcast payload, including the URL and stream key. For more details, refer to the Create a simulcast API documentation.
const simulcastPayload = {
url: "rtmps://",
"46c3457fa8a579b2d4da64125a2b6e83ka09f3e958c16ed00e85bfe798abd9845", // Replace with actual stream key
const generateSimulcast = await fastpix.initiateLiveStreamSimulcast(
streamId: "a09f3e958c16ed00e85bfe798abd9845", // Replace with actual stream ID
console.log("Generate Simulcast:", generateSimulcast);
Get live stream simulcast:
Use the getLiveStreamSimulcast
method to retrieve details of a specific simulcast for a live stream. Provide the streamId
and simulcastId
of the simulcast you wish to fetch. For more details, refer to the Get a specific simulcast of a stream API documentation.
const getLiveSimulcast = await fastpix.getLiveStreamSimulcast({
streamId: "a09f3e958c16ed00e85bfe798abd9845", // Replace with actual stream ID
simulcastId: "7269209ff0299319b6321c9a6e7850ff", // Replace with actual simulcast ID
console.log("Live Stream Simulcast Details:", getLiveSimulcast);
Update live stream simulcast:
Use the updateLiveStreamSimulcast
method to modify the configuration of a simulcast stream. Provide the streamId
, simulcastId
, and the fields you wish to update. For more details, refer to the Update a specific simulcast of a stream API documentation.
const updateLiveSimulcast = await fastpix.updateLiveStreamSimulcast(
streamId: "a09f3e958c16ed00e85bfe798abd9845", // Replace with actual stream ID
simulcastId: "7269209ff0299319b6321c9a6e7850ff", // Replace with actual simulcast ID
isEnabled: false, // Disable the simulcast stream (set to true to enable)
metadata: {
simulcast2: "media", // Update the metadata as needed
console.log("Updated Live Stream Simulcast:", updateLiveSimulcast);
Delete live stream simulcast:
Use the deleteLiveStreamSimulcast
method to remove a specific simulcast from a live stream. Provide the streamId
and simulcastId
of the simulcast you wish to delete. For more details, refer to the Delete a simulcast API documentation.
const deleteLiveSimulcast = await fastpix.deleteLiveStreamSimulcast({
streamId: "a09f3e958c16ed00e85bfe798abd9845", // Replace with actual stream ID
simulcastId: "7269209ff0299319b6321c9a6e7850ff", // Replace with actual simulcast ID
console.log("Deleted Live Stream Simulcast:", deleteLiveSimulcast);
Updated 9 days ago